LENT reminds us all that our lives & material possessions are just being LENT to us. We're only all passers by, all pilgrims on the road. We bring nothing when we go to our FATHER; but we can leave behind the love we've shared, the hope we've given, the goodness we've done. A meaningful HOLY WEEK to you.
Saturday, March 22, 2008
Some Years Ago, A Newspaper...
Some years ago, a newspaper offered a prize for the best definition of money. Out of the hundreds who competed, the winner submitted this food for thought: "Money is a universal provider for everything but not happiness. And a passport to everywhere but never in HEAVEN because JESUS is the Way.
Blessed Höly Days!
labels: occasion
The Lenten Season Re-echoes God's...
The Lenten season re-echoes God's call for us to redirect our heart towards Him. What we love reveals what we value. The secret of having a meaningful & grace-filled season lies in what is hidden in us.
May God find a contrite heart in each of us this Holy Week. Reflect & repent! It's the season's calling.
labels: occasion
A Lenten Message...
A Lenten message:
UNDERSTAND when others won't;
FORGIVE when others can't;
CARE when others don't;
LOVE despite hardships & pain.
God bless you!
labels: occasion
To Those I Have Wronged...
To those I have wronged, i ask forgiveness. To those I may have helped, I wish I did more. To those who helped me, my sincerest gratitude.
Have a Blessed Holy Week!
labels: occasion
Hotline Numbers to Jesus...
1. When in sorrow, call John 14.
2. When you have sinned, call Psalm 51.
3. When you're in danger, call Psalm 91.
4. When you grow bitter, call 1 Corinthians 13.
5. For the secret to happiness, call Colossians 3:12-17.
6. When your prayers grow narrow and selfish, call Psalm 67.
7. If you find the world growing small and yourself great, call Psalm 19.
Don't erase, this will come in handy. Have a meaningful holy week!
labels: occasion
The Greatest Man in History...
THE GREATEST MAN IN HISTORY: Jesus had no Servants, yet they called Him Master. Had no degree, yet they called Him Teacher. Had no medicines, yet they called Him Healer. He had no army, yet kings feared Him. He won no military battle, yet He conquered the world. He committed no crime, yet they crucified Him. *He was buried in a tomb, yet He lives today. Feel the HONOR to Serve such a LEADER who LOVES US!
A blessed and meaningful HOLY WEEK!
labels: occasion
The Strongest People Have The Worst...
The strongest people have the worst problems, the worst trials, the worst situations. It's not because God wants them to suffer, but it's because God trusts them so much He gave them something He knows they can overcome. Be thankful for God's trials! They are His gifts to strong people. ^_^
labels: inspirational, life, religious
If God Painted A Beautiful Rainbow...
If God painted a beautiful rainbow as a sign of His love for us, we must also paint a beautiful SMILE to start the day.
Have a marvelous day ahead, friends! :)
labels: religious
Remember God First Before You...
Remember God first before you begin the daily games of your life. Put Him as your weapon in happiness, in guts, and trials, in strength and in success!
Sweet morning! ;)
Don't Expect Anything In Return...
Don't expect anything in return. Don't expect your efforts to be appreciated, your genius to be discovered and your love to be understood because expecting is one way of hurting yourself. Isn't it? :(
labels: heartbreaking, inspirational
As The Sky Opens into A Bright...
As the sky opens into a bright morning, may God shower you a lot of blessings and opportunities and make your day a truly fulfilling one.
Morning! :)
labels: religious
We Can Be Happy Anytime Once We...
We can be happy anytime once we understand that the only place we'll ever find genuine happiness is right inside of us. Happiness begins when we accept things, when we stop questioning why life cannot be perfect and just accept the world the way it is. ;)
labels: happy
One of Life's Worst Scenario Is...
One of life's worst scenario is when people assume that they know you even without trying to get to know you and they judge you from your actions without knowing the reason/s behind it.
labels: heartbreaking, life
Avoid The Three Enemies of Personal...
Avoid the Three (3) Enemies of Personal Peace:
(1) Regret over yesterday's mistake;
(2) Inattention over today's blessings; and,
(3) Anxiety over tomorrow's problems.
labels: inspirational
Saturday, March 15, 2008
Life Can Be Fun Even If There...
Life can be fun even if there are many problems, shitty days, boring moments, and beastly enemies. There is, however, one thing that erases all o fit--tons of extraordinary sweet and hyper freaking insane friends.
Just like you! ^_^
labels: friendship, life
Butterflies Do Not Know The Color of...
Butterflies don't know the color of their wings but human eyes know how nice it is. Likewise, you don't know how good you are but I know how special you can be.
labels: romantic
Chance or Choice?
Unrelated to this article: quantum chemistry results:
/*
The molecule C2H4N4O2 in a non-equilibrium geometry, computed with the ωB97M-V functional and the def2-TZVPD basis.

The geometry in ORCA input format:
```
! wB97M-V def2-TZVPD RIJCOSX def2/J DEFGRID3
* xyz 0 1
C -0.576 0.094 -0.152
C 0.819 1.121 1.130
H -1.491 -2.100 -0.887
H -1.383 -1.338 -2.582
H 0.986 2.885 1.668
H 1.052 -1.323 -0.357
N -1.024 -1.426 -1.500
N -1.186 -0.066 -1.227
N -0.377 1.285 0.542
N 0.408 -0.910 0.375
O 1.342 1.865 1.953
O 1.430 -0.088 1.037
*
```

The total energy comes out at -12189.8205 eV. The frontier orbital gap comes out at 8.4 eV. For the HOMO energy, the calculation gives -8.231 eV. Its energy relative to the best compared isomer or geometry (same formula, charge and spin) is 353.8 kJ/mol.

Here are the Löwdin charges for atoms 1 to 6, given in e:
1. C -0.44
2. C -0.58
3. H 0.08
4. H 0.15
5. H 0.27
6. H 0.14

* * * * *

A cluster of 11 separate species, C79H181N11O16 in total at a distorted geometry, computed with the ωB97M-V functional and the def2-TZVPD basis.

Last column: Löwdin charge in e.
Positions of all 287 atoms, in Å:
H1 4.521 1.198 -5.134  0.113
N1 -5.313 -4.493 -6.991  -0.061
C1 -1.240 0.645 -1.951  -0.171
H2 4.655 -4.464 -2.804  0.110
H3 -0.054 3.084 5.506  0.126
N2 -2.478 5.964 0.695  -0.124
H4 -4.667 -3.635 -0.855  0.075
C2 9.320 -2.896 -0.757  -0.020
H5 -4.367 3.432 -0.519  0.099
H6 -2.267 3.485 11.023  0.109
C3 -4.006 -4.469 -7.573  -0.200
H7 -3.188 -4.200 1.102  0.111
C4 1.406 -2.328 -2.129  -0.022
H8 3.978 2.340 0.326  0.070
C5 -7.224 1.812 -0.320  -0.224
H9 -2.884 -0.769 -5.504  0.075
H10 2.608 0.022 -0.829  0.085
C6 -1.848 -1.345 5.483  -0.073
O1 -7.277 -2.061 -6.963  -0.201
H11 0.633 1.189 -7.544  0.089
H12 -3.599 4.648 3.050  0.101
H13 -4.951 7.783 0.510  0.066
H14 -0.289 -6.375 0.217  0.102
H15 -5.009 5.765 2.763  0.098
H16 2.802 -0.901 -5.739  0.102
H17 -2.999 7.215 3.710  0.093
H18 5.348 2.016 -6.911  0.110
H19 -5.134 1.358 2.971  0.074
C7 2.941 6.750 2.108  -0.479
C8 7.675 -2.958 -0.847  -0.436
O2 1.368 -1.609 0.634  -0.006
H20 -3.845 -6.604 -2.959  0.072
C9 -4.080 2.273 -4.685  -0.105
H21 -6.500 -0.281 -6.664  0.087
H22 0.928 -0.616 -7.555  0.087
H23 -1.263 -0.773 4.763  0.047
C10 -6.623 -2.608 -8.113  -0.213
H24 -1.393 1.795 5.431  0.103
C11 4.666 -4.209 5.910  -0.238
C12 2.212 3.374 2.730  -0.034
H25 5.058 0.282 -8.387  0.102
C13 -0.547 -0.191 0.398  -0.404
H26 -0.037 -0.216 -3.404  0.099
C14 5.905 -4.943 -1.214  -0.171
H27 -0.180 4.244 10.058  0.114
H28 5.150 -1.353 6.456  0.105
C15 -4.055 -0.104 4.909  -0.184
H29 -2.368 2.207 9.884  0.104
H30 1.810 1.149 4.907  0.082
H31 -2.069 3.580 6.757  0.116
N3 -3.274 -2.202 3.807  0.056
C16 -2.672 -4.939 0.489  -0.143
H32 -2.218 3.766 -1.896  0.075
H33 5.952 -2.417 0.564  0.077
H34 6.819 -1.866 -4.896  0.070
N4 -2.820 -6.527 -1.351  -0.103
C17 -0.801 -7.844 -1.837  -0.021
H35 5.520 -1.298 11.240  0.087
H36 -5.849 -0.677 2.108  0.069
H37 2.333 -2.651 -1.654  0.064
H38 -2.176 -0.467 2.127  0.051
C18 -1.893 4.479 -1.138  -0.012
*/
Chance or Choice?
~ When you meet the right person to love at the right place at the right time--that's a chance
~ When you meet someone you're attracted too--that's a chance, too
~ Being caught that there are many people out there who are more attractive, smarter, richer than your mate and yet you decide to love your mate just the same--that's a choice
~ Attraction comes to us by chance. But, true love that lasts is truly a choice.
Listen: Fate brings you together but it's still up to you to make it all happen.
labels: inspirational, love
MMDA & Traffic Violator
MMDA (with pen and ticket) to a traffic violator:
MMDA: Name?
Foreigner Driver: Wilhelm Von Corgrinski Papakovitz
MMDA: Aaahh... Next time be careful ah!
Hehehehe :o)
Never Break Four Things In...
Never break four (4) things in life:
1. Trust
2. Promise
3. Relationship
4. Heart
Because when they break they do not make noise but hurts a lot...
labels: heartbreaking, inspirational
Don't Quit--A Plain Statement Yet...
DON'T QUIT--A plain statement, yet it expounds a thousand definitions.
It could mean: don't give up, don't let go, don't surrender, keep fighting, be strong, or have faith.
Whether in life's trials or in love's struggles, just DON'T QUIT.
Who knows? You just might get what your heart is longing for.
labels: inspirational
Heart To Heart Talks...
Heart to heart talks
Holding hands
Leaning on shoulders
Tight hugs
Goodbye kisses
Half-meant jokes
Sweet compliments
Tapos FRIENDS lang?
Hehehe ",)
If You Are Not Willing To Risk...
If you aren't willing to risk all, then you don't want it bad enough.
labels: inspirational
Why Does Everybody Go Crazy Over...
Why does everybody go crazy over happy endings? How could it be happy if it's already the end?
labels: inspirational
Customer, Waiter, & Coke?
Customer: Waiter! Bakit ang tagal ng order ko? Ilan ba ang cook ninyo dito?
Waiter: Ay, sir. Wala pu kame cuk dito... Pipse lang! Pipse!
Nagtataka Ka Ba Bakit Gusto...
Nagtataka ka ba?
Bakit gusto kita?
Kasi ikaw 'yan eh, wala ng iba pa. Subukan mong tumayo sa lugar ko ng malaman mo kung gaano kasarap maging kaibigan ang tulad mo.
Awww :)
labels: friendship, romantic, tagalog
Caring Is A Wonderful Gift That No...
Caring is a wonderful gift that no one can buy. It is made up of love that roots in our hearts to make fruits of memory not just for a while but for a lifetime.
Sweet day! c",)
labels: friendship, love, romantic
Sometimes You Need To Let Your...
Sometimes you need to let your feelings flow for someone else to burn the crazy feelings that you felt for your stupid past.
labels: love
There May Be Those On Earth Who...
There may be those on earth who dress better, eat better, live better but those who enjoy the peace of God sleep better and wake up happier!
God bless you! ;)
labels: religious
I Heard It Is Possible To Grow Up...
I heart it's possible to grow up. I've just never met anyone who has done it. We're all like children. We cry in our rooms when the pain gets too tough. We throw tantrums when things don't go our way. We yearn for innocence when life throws us reality.
And, like children, we hope, and just never stop hoping. :)
labels: inspirational
Saturday, March 8, 2008
Understanding Versus Stupidity
Understanding VS. Stupidity
When she says NO, I say OK
I never ask WHY when she says SORRY
More than saying OK, I say I UNDERSTAND
She tells me I LOVE YOU, I don't reply I love you too but THANKS FOR LOVING ME TOO
But one day she admitted I LOVE SOMEONE ELSE
Guess what I said, "Go on, be happy. I'll let you go, for if that's the thing to make my love smile, I'd rather choose to get hurt that see the sad face I see when you're mine."
labels: denial
God Said Write Your Plans In...
God said: "Write your plans in pencil, but give me the eraser. I might have something better for you."
Awww, that's so nice, right? Happy day! ;)
labels: religious
Remember That The Best Helping...
Remember that the best helping hand you will ever find is at the end of your own arm. When we do what we can, God will do what we can't.
labels: religious
When We Bring Sunshine Into The...
When we bring sunshine into the lives of others, we are armed by it ourselves. When we spill a li'l happiness, it splashes on us!
Have a great day! c",)
labels: happy
A Person May Fall Everyday...
A person may fall everyday, but he always gets up and says, "Lord, thank you because..."
~ J. Philip.
labels: religious
A Friend Is One of The Nicest...
A friend is one of the nicest things you can have, one of the best things you can be. A living treasure; a precious gift, and that's what you are to me.
Awww ^_^
labels: friendship
I Used to Miss You A...
I used to miss you a lot, but it seems like you never missed me at all; and, so I stopped missing you.
labels: denial, heartbreaking
Life Is An Undying...
Life is an undying cycle. It is a battle of survival. If you quit, then you're a loser. If you fall, then stand up. If you keep on complaining about the miseries of your life, nothing will happen. God does not throw stones that we cannot catch. Live with Him and everything will turn out good. ,")
labels: life
Falling In Love with A Long...
Falling in love with a long time friend is the sweetest suicide. :(
labels: friendship, heartbreaking, love
What Will You Do When Faced...
What will you do when faced with two choices? Simple: Toss a coin. This works not because it settles the question for you, but because in that brief moment that the coin is in the air, you suddenly know what you're hoping for.
labels: inspirational
Organizer, Emcee, & Mayor
Organizer: Paki acknowledge naman si Mayor, late na kasi dumating. Ayun, kadaraan lang.
Emcee: I would like to acknowledge the arrival of the late Mayor who just passed away!
Nyahahaha (n_n)
Anak, Dad, & LOL
Tinext ni Anak si Dad ng LOL. Tinawagan ni Dad si Anak.
Dad: Ano itong tinext mo?
Anak: Dad, lol means laughing out loud! Ang bobo mo naman, dad! Duh?! Everybody knows that kaya! You're so uber tanga! Tang'na ka talaga, Dad, pakyu!
Dad: Ah, okay, haha! Akala ko minumura mo na ako eh. 'Ge, 'nak! Labsyu!
Hehehe ;)
Kung Pinagsasalitaan Ka Ng Mga...
Kung pinagsasalitaan ka ng mga masasakit na salita ng friend mo, huwag ka po magalit. Sabi nga ni Donkey kay Shrek: Only true friends will be CRUELLY honest!
Make sense, right? ^_^
labels: friendship, tagalog
A Turtle Once Taught Me That...
A turtle once taught me that no matter how heavy his bearings are, it's his choice to carry the luggage for it's the only way he feels protected.
labels: inspirational